Material >
~~~
No. 1
Density functional theory data (ωB97M-V with the def2-TZVPD basis set) for 2 unconnected molecules or ions with the total composition C2H3BrF2S in a non-equilibrium geometry.

Atoms and positions in Å:
C (-0.11383, 0.27127, 0.32994)
C (1.05487, -2.39224, 1.13340)
F (1.41650, -2.64287, 2.39735)
F (0.52078, -3.51554, 0.61872)
S (1.22816, 0.73486, -0.53520)
Br (2.64371, -1.91868, 0.08877)
H (-0.85595, -0.39171, -0.07741)
H (-0.18598, 0.56775, 1.35890)
H (0.85710, 0.21328, -1.71565)

Values from the calculation:
relative energy (zero: lowest compared OMol25 entry of this formula, charge and spin) = 309.10 kJ/mol
charge = 0
gap between HOMO and LUMO (spin up / spin down) = 9.120 / 6.303 eV
electronic energy = -3249.79355 a.u.
E_HOMO (spin up / spin down) = -9.2 / -7.5 eV

No. 2
Density functional theory data (ωB97M-V with the def2-TZVPD basis set) for a molecular structure, C2H3BrFI in a non-equilibrium geometry.

Atoms and positions in Å:
C (-0.74109, -0.21560, 0.24883)
C (0.64724, 0.14926, -0.20624)
F (0.79018, 0.17661, -1.67514)
Br (0.94520, 1.98996, 0.20002)
I (2.05923, -1.30994, 0.38782)
H (-1.02336, -0.28898, 1.32244)
H (-1.51402, 0.62943, -0.06480)
H (-1.16339, -1.13074, -0.21292)

Values from the calculation:
relative energy (zero: lowest compared OMol25 entry of this formula, charge and spin) = 41.61 kJ/mol
charge = 0
gap between HOMO and LUMO = 9.986 eV
electronic energy = -3049.54751 a.u.
E_HOMO = -10.0 eV

No. 3
Density functional theory data (ωB97M-V with the def2-TZVPD basis set) for 2 unconnected molecules or ions with the total composition C2H3BrINO3 in a non-equilibrium geometry.

Atoms and positions in Å:
C (0.83020, -0.19929, -0.76650)
C (-0.20735, 0.64888, -0.20540)
N (-0.55022, 0.62149, 1.19221)
O (-0.04998, -0.33261, 1.74219)
O (-1.02271, 1.66879, 1.61320)
O (1.10648, -1.51611, -0.28286)
Br (-0.66698, 2.23852, -1.05957)
I (-2.77827, -1.56152, -0.45785)
H (0.67940, -0.21661, -1.81106)
H (1.79134, 0.25777, -0.56347)
H (0.86809, -1.60933, 0.59910)

Values from the calculation:
relative energy (zero: lowest compared OMol25 entry of this formula, charge and spin) = 0.00 kJ/mol
charge = 0
2S+1 = 3
gap between HOMO and LUMO (spin up / spin down) = 9.227 / 6.687 eV
electronic energy = -3229.98092 a.u.
expectation value of S² = 2.009
E_HOMO (spin up / spin down) = -9.1 / -10.2 eV

No. 4
Density functional theory data (ωB97M-V with the def2-TZVPD basis set) for a molecular structure, C2H3BrN2 in a non-equilibrium geometry.

Atoms and positions in Å:
C (0.13167, -0.97705, -0.07871)
C (-0.85766, -0.04262, 0.06654)
N (1.03077, 0.10169, -0.22285)
N (0.08828, 1.07422, 0.14882)
Br (-2.64587, -0.02842, 0.22012)
H (0.38047, -2.08264, 0.20648)
H (1.83245, 0.21057, 0.28716)
H (0.03990, 1.74426, -0.62756)

Values from the calculation:
relative energy (zero: lowest compared OMol25 entry of this formula, charge and spin) = 108.61 kJ/mol
charge = 0
gap between HOMO and LUMO = 9.277 eV
electronic energy = -2761.41447 a.u.
E_HOMO = -8.3 eV

No. 5
Density functional theory data (ωB97M-V with the def2-TZVPD basis set) for 2 unconnected molecules or ions with the total composition C2H3BrN2O in a non-equilibrium geometry.

Atoms and positions in Å:
C (-0.89285, 2.33535, 0.13574)
C (-1.74362, -1.36380, -0.04683)
N (-1.31767, 1.19143, 0.17167)
N (-1.14596, -0.17009, -0.19028)
O (-0.82699, 3.50625, 0.21138)
Br (5.65246, -0.50806, 0.14568)
H (-2.72199, -1.49952, 0.29235)
H (-1.35851, -2.18612, -0.77350)
H (4.35513, -1.30546, 0.05380)

Values from the calculation:
relative energy (zero: lowest compared OMol25 entry of this formula, charge and spin) = 144.71 kJ/mol
charge = 0
SMILES = C=NN=C=O.Br
gap between HOMO and LUMO = 9.451 eV
electronic energy = -2836.64639 a.u.
E_HOMO = -9.4 eV

No. 6
Density functional theory data (ωB97M-V with the def2-TZVPD basis set) for a single C2H3BrN2O2 molecule in a non-equilibrium geometry.

Atoms and positions in Å:
C (-0.04491, -0.83568, -0.66624)
C (-1.07976, -0.58624, 0.45341)
~~~

Brief >
Next, count the lines earlier on that contain the word "NN" and give the number alone.

Response >
1